Chapter 11

On what two conditions did Monroe agree to accept the presidential nomination?

Monroe agreed to do the election on to conditions.
1. That Monroe would not be tied to a single political party.
2. That Monroe would not wage an active campaign. He would run on his own as he had for an earlier seat in Congress and for governor of Virgin

Why had many voters lost interest in the election process?

Voters had lost interest in the Election process because the voters had little influence in choosing the national and state candidates.

How did Monroe choose members of his cabinet?

James Monroe was inclined to pick the best men in the country, regardless of their political beliefs.

What two groups of people were using Florida as a haven to avoid capture and possible punishment?

Southern slaves and Seminole Indians. Florida also became a haven for smugglers of European goods.

When Spain did not solve Florida's problems, what American was given authority to take action?

When the problem was not fixed Andrew Jackson was given the authorization to invade Florida.

Why did many people in Spain's Latin American colonies resent Spanish control?

********
Here is a structure of composition C64H112AsBr20F6NO18 at a distorted geometry from OMol25. Energies are from ωB97M-V/def2-TZVPD.

Computed properties:
* LUMO: 0.010 eV
* E: -1584531.915 eV
* highest occupied orbital energy: -9.774 eV
* 2S+1: 1
* HOMO-LUMO gap: 9.78 eV

Last column: Löwdin charge in e.
Positions of all 222 atoms, in Å:
C: 2.810 -0.781 0.967  -0.10
C: 1.340 -0.959 0.722  -0.19
C: 0.894 0.226 -0.154  -0.14
N: -0.544 0.455 -0.270  -0.21
C: -1.099 0.866 1.129  0.06
C: -1.344 -0.688 -0.772  -0.13
C: -2.599 -0.025 -1.200  -0.12
C: -2.197 1.394 -1.778  -0.10
C: -0.765 1.494 -1.344  -0.11
H: 3.297 -0.554 0.016  0.06
H: 3.346 -1.636 1.380  0.05
H: 3.064 0.045 1.646  0.05
H: 0.678 -1.029 1.605  0.09
H: 1.212 -1.908 0.214  0.11
H: 1.284 0.058 -1.180  0.11
H: 1.232 1.211 0.221  0.12
H: -0.615 1.739 1.493  0.05
H: -0.956 0.042 1.811  0.08
H: -2.146 1.118 1.047  0.07
H: -1.449 -1.441 -0.019  0.11
H: -0.831 -0.989 -1.658  0.10
H: -3.424 -0.023 -0.462  0.10
H: -3.012 -0.722 -1.912  0.09
H: -2.831 2.227 -1.415  0.10
H: -2.147 1.335 -2.869  0.06
H: -0.415 2.422 -0.934  0.09
H: -0.138 1.252 -2.161  0.10
As: -1.694 -3.507 2.645  0.73
F: -2.532 -3.401 4.168  -0.24
F: -2.996 -4.438 2.077  -0.22
F: -0.887 -3.839 1.135  -0.25
F: -0.414 -2.498 3.247  -0.24
F: -0.914 -4.954 3.251  -0.26
F: -2.502 -2.077 2.031  -0.24
Br: 5.881 0.465 5.445  0.71
C: 6.005 -0.171 3.702  -0.83
C: 7.307 0.166 3.137  -0.66
Br: 7.480 -0.772 1.434  0.76
H: 5.255 0.312 3.113  0.03
H: 5.840 -1.215 3.842  0.00
H: 8.122 -0.240 3.788  0.07
H: 7.346 1.250 2.984  0.07
Br: -3.444 4.042 1.693  0.74
C: -1.966 4.086 2.963  -0.68
C: -2.473 3.962 4.386  -0.62
Br: -0.892 3.837 5.567  0.74
H: -1.302 4.906 2.744  0.06
H: -1.422 3.119 2.719  0.03
H: -3.052 3.021 4.417  0.04
H: -3.071 4.814 4.762  0.07
Br: -3.451 7.382 -5.066  0.66
C: -3.145 7.964 -3.252  -0.69
C: -4.106 7.414 -2.267  -0.75
Br: -5.861 8.209 -2.279  0.64
H: -3.121 9.049 -3.230  0.06
H: -2.137 7.590 -2.972  0.05
H: -3.817 7.627 -1.289  0.02
H: -4.268 6.328 -2.351  0.02
Br: 1.820 2.189 -7.076  0.62
C: 2.258 2.573 -5.174  -0.68
C: 3.186 1.471 -4.776  -0.68
Br: 3.473 1.686 -2.867  0.75
H: 1.350 2.688 -4.545  0.02
H: 2.762 3.509 -5.167  0.03
H: 4.145 1.404 -5.309  0.06
H: 2.709 0.460 -4.838  0.05
Br: -2.089 -3.737 -2.640  0.73
C: -2.832 -4.160 -0.917  -0.72
C: -4.209 -4.691 -0.981  -0.67
Br: -4.260 -6.542 -1.615  0.62
H: -2.757 -3.260 -0.307  0.03
H: -2.150 -4.898 -0.522  0.04
H: -4.893 -4.101 -1.560  0.04
H: -4.599 -4.744 0.016  0.05
Br: -5.891 4.316 -4.579  0.67
C: -4.120 3.584 -4.107  -0.67
C: -3.259 3.521 -5.347  -0.75
Br: -1.442 3.230 -5.051  0.78
H: -4.322 2.612 -3.643  -0.02
H: -3.724 4.237 -3.363  0.02
H: -3.336 4.529 -5.829  0.01
H: -3.644 2.789 -6.057  0.06
Br: 2.680 -6.101 4.293  0.72
C: 2.236 -4.291 4.818  -0.68
C: 2.981 -3.273 3.955  -0.67
Br: 2.695 -1.594 4.850  0.73
H: 2.501 -4.178 5.889  0.05
H: 1.153 -4.276 4.756  0.03
H: 2.689 -3.191 2.904  0.04
H: 4.015 -3.495 3.856  0.00
Br: 7.197 1.046 -3.871  0.60
********

Many people in Spain's Latin American colonies resented Spanish control because Spain got profits that the colonists believed they should have received. Also, the colonists felt no loyalty to their new king (Joseph Bonaparte), who was French, not Spanish.

What two Creoles led revolutions in South America?

Jose de San Martin (southern areas) and Simon Bolivar (northern areas) lead the revolution.

What two countries approved and recognized the new republics in Latin America?

Britain and America recognized the new republics.

Why did many western banks collapse in 1896?

Many western banks collapsed because the state banks had grown in number and began to issue their own bank notes even when they did not have the gold and silver to back them up. When the National bank called in loans from western banks, the state banks co

Why did states tax branches of the national bank?

The states taxed branches of the national bank hoping that the increased costs would cause people not to use them.

What issue was brought up by Missouri's request to join the Union?

When Missouri asked to be admitted into the union, an issue was brought up because Missouri's admittance would cause an imbalance between slave and free states currently in the union.

What were the terms of the Missouri Compromise?

Maine's admission into the union as a free state would be tied to Missouri's admission as a slave state - keeping a balance of slave and free states. Slavery would be forbidden north of Missouri's southern boundary. Slavery would be permitted south of the

Why did Jackson not win the election of 1824 even though he had the largest number of votes?

Even though Jackson won more votes than anyone else in both the electoral and popular vote, since their were so many candidates no man got the majority of the Electoral vote (131 votes), so the House of Representatives had to pick one of the candidates. S

Why did John Quincy Adams choose Henry Clay to be his secretary of state, and how did Jackson's followers interpret this action?

John Quincy Adams picked Henry Clay as his Secretary of state because of his experience and qualifications. Jackson's followers thought that Clay and Adams had made a "corrupt bargain" that Clay would pick Adams as president and in return Adams would make

What did Southerners call the tariff of 1828? What had Adams hoped to accomplish with the monies from a tariff?

Southerners called the tariff of 1828 "the tariff of abominations" and threatened to leave the union. With the monies from the tariff, Adams hoped to build roads and canals to aid the communication between distant regions and multitudes of men. He also wa

Name two aspects of the election of 1828 that made a difference from other elections?

This election was unique because mass campaigning appeared such as posters, banners, editorials, testimonies, barbecues, banquets, and torchlight parades. (2) there was a change in voting requirements. Some states had lifted the requirement that voters ow

For what two reasons did the number of voters more that double between 1824 and 1828?

(1) The expansion of suffrage in some states and (2) the addition of new states into the Union.

James Monroe's presidency has often been called the______. During that time the U.S. purchased_____. It also issued a warning to European nations interested in American Lands. This warning, called the_______, was written largely by________, who followed M

1. Era of good feelings
2. Florida
3. Monroe Doctrine
4. John Quincy Adams
5. Missouri Compromise

What is a meeting of political party leaders who choose a candidate called?


Who defeated the Indians at the battle of Horseshoe Bend?

Andrew Jackson

Who were the two men who led much of South America to Independence?

Jose de San Martin and Simon Bolivar

When did the U.S. buy Florida?

(Misplaced data records)
[1]
37
Properties=species:S:1:pos:R:3:forces:R:3 method="wB97M-V/def2-TZVPD" relative_energy_kcal_mol=39.3 lumo_energy_ev="-0.8 / -1.1" energy_ev=-40152.46042
C 5.879200 0.910100 -2.112300 0.1 0.0 0.0
O -0.706600 0.206900 2.505700 -0.7 -0.5 -1.2
H 4.559200 0.077100 -0.643200 0.0 -0.1 0.0
H -0.612000 5.036500 0.910500 -0.1 0.0 0.1
H 1.106700 1.858200 4.568000 0.0 0.0 0.0
H 6.941500 1.901600 -3.686200 0.1 0.0 0.0
S -0.031300 -2.236400 -0.454000 0.1 0.5 0.5
O 1.342300 0.924700 2.182400 0.1 0.1 0.2
H -1.515900 2.754700 0.488900 0.2 0.0 0.1
C 3.636300 2.229600 -3.079700 -0.1 -0.1 0.2
H 1.452200 -4.204600 -1.464900 0.1 -0.1 0.0
N 0.234700 2.042000 -0.319600 0.4 0.9 0.2
C 4.653000 0.721400 -1.504000 0.0 0.1 0.1
C 5.983300 1.750500 -3.210600 0.1 0.0 0.0
C 0.013900 4.275800 0.472500 0.2 0.2 -0.1
C 0.532900 0.945800 4.426000 -0.2 0.0 -0.3
C 4.862000 2.401200 -3.696700 0.0 0.1 -0.1
C 1.334200 4.547400 0.124800 -0.4 -0.1 0.1
N 1.733500 0.014200 -1.062300 -2.1 0.7 1.2
C 2.084200 3.557400 -0.475700 0.0 -0.4 -0.2
Pd 0.144900 0.009600 0.411700 1.3 -1.3 -0.9
C -0.490200 3.010200 0.237400 0.0 0.1 -0.1
H 4.939700 3.048900 -4.558600 0.0 0.0 0.0
H 1.088100 0.120500 4.867600 0.0 -0.1 0.0
H 6.754800 0.405700 -1.728600 0.0 0.0 0.0
N 2.026200 -3.393100 -1.597400 0.1 0.1 -0.1
H 3.110700 3.723500 -0.760000 0.1 0.0 0.0
C 1.512400 2.303000 -0.697200 -0.8 0.7 0.5
H 2.757600 2.731700 -3.454300 -0.1 0.1 -0.1
H 2.868300 -3.446800 -2.144200 0.0 0.0 0.0
C 0.373800 0.676300 2.942500 0.9 0.5 0.4
H -0.436500 1.019500 4.909900 0.0 0.0 0.1
C 3.527600 1.389200 -1.976200 0.1 -0.1 -0.1
C 1.530300 -2.196200 -1.237600 -0.8 0.2 0.3
H 1.769900 5.514000 0.333600 0.0 0.0 0.0
C 2.244900 1.190600 -1.279200 0.1 -1.2 0.0
N 2.219900 -1.120900 -1.534200 1.2 -0.3 -0.5

---

[2]
33
Properties=species:S:1:pos:R:3:forces:R:3 method="wB97M-V/def2-TZVPD" relative_energy_kcal_mol=0.0 lumo_energy_ev=-0.2 smiles="Clc1ccc(/C=C/Cc2ccc(Cl)cc2)cc1.B" energy_ev=-41516.53872
H 3.913814 -0.545856 1.948728 0.1 0.1 -0.7
H -3.248002 1.522792 1.929827 0.2 0.5 0.2
H 0.334800 0.553100 -1.041012 -0.1 0.5 0.8
Cl -5.940395 2.260135 -2.042373 0.3 -0.5 0.3
Cl 6.875181 0.782753 -1.665530 1.5 0.2 -0.6
H 1.385336 -0.436589 1.651289 0.2 0.4 0.4
C 2.845439 0.054362 0.123349 1.4 -0.2 -0.3
B -2.004784 -4.592522 1.680468 -0.1 0.5 0.3
H -2.654598 -4.774529 0.639423 0.7 0.1 1.0
H -5.205854 2.381510 0.769940 0.1 -0.1 -0.1
C 1.504544 -0.003005 0.665331 -1.6 0.0 -0.2
C 2.980465 0.485908 -1.208517 0.3 0.1 0.5
H 2.075458 0.790211 -1.746386 0.6 -0.3 0.0
H 6.186420 -0.260154 0.907255 -0.4 0.3 -0.4
C 0.362072 0.417121 0.055165 0.8 -0.6 0.4
H -3.929921 0.323497 -2.785183 0.2 -0.1 0.4
C 5.283952 -0.036706 0.323768 -0.4 0.1 -0.1
H -2.004224 -0.600391 -1.528128 0.4 0.4 0.0
C 5.371829 0.458769 -0.989739 -1.6 -0.8 0.4
H -0.702499 0.232837 1.825893 -0.4 -1.8 1.3
C 4.025377 -0.238686 0.894506 -1.2 0.4 -0.8
H 4.272796 0.968567 -2.817900 0.4 0.1 0.0
H -2.582656 -4.273496 2.740360 0.5 -0.4 -1.1
C -2.258352 0.684958 0.243886 -0.1 -0.4 -0.4

In 1819 the U.S. bought Florida for $5 million dollars.

What court case was used to strengthen the federal government's power over that of the states?

In the 'McCulloch v. Maryland' the court ruled that the states could not tax the federal government because the "power to tax includes the power to destroy".

Who was said to have made a "corrupt bargain" with John Quincy Adams?

Henry Clay

What was Andrew Jackson's political party?

Democratic Republican

Who was the incumbent presidential candidate in 1828?

John Quincy Adams

What state came into the Union as a free state as a result of the Missouri Compromise?


A current office holder.


A government led by one powerful leader.


The selling or transporting of goods from one state to another.

Interstate commerce

The making of malicious statements about opponents.


A statement that stated that Florida and all of America could not be settled by other European nations.

Monroe doctrine

Missouri Compromise

When Maine broke off from Massachusetts and was going to register as a free state. Since Missouri was going to be a slave state, the two states registered together to maintain the balance.

Two reasons the "Era of Good Feelings" was an appropriate name for this period?

Two reasons for the "Era of Good Feelings" is because there were no political wars during this period of time, and there were no current national crisis.

Acquiring of Florida

Since Florida was a safe haven for runaway slaves, Indian tribes and smugglers, Andrew Jackson warned Spain that if they could not control their own land, that the U.S. would act. When Spain did nothing, Secretary of war Calhoun gave Andrew Jackson contro

Two revolutionary leaders from south America.

1. Jose de San Martin
2. Simon Bolivar

What were three new basic principals the Monroe doctrine added to America's Foreign policy?

1. European nations could not set up new colonies in the Americas.
2. The U.S. would not interfere.
3. That America will militarily intervene will any European colonies that are set up in the Americas.
The European colonies could not set up new colonies i

Secretary of War

John C. Calhoun

What is a meeting of political party leaders who choose a candidate called?


A Spanish political leader who looked over the south part of Spanish territories?

Jose de San Martin

A Spanish political leader who looked over the northern territories for Spain?

Simon Bolivar

Accomplishments of Andrew Jackson?

Some accomplishments of Andrew Jackson are that he defeated the Creek Indians at horseshoe bend, he invaded Florida, got rid of the smugglers that were at Florida, and got rid of a Spanish Governor in Florida.

Who were the candidates in the Election of 1824?

1.John Quincy Adams
2.Henry Clay
3.William Crawford
4.Andrew Jackson

How was the Election of 1828 draw in lots of voters?

The expansion of suffrage and increase of states into the Union. Also mass campaigning was used (posters banners, editorials, testimonies, banquets, and torchlight parades.)

New independent republics in Latin America.

Many of the new republics that broke out of Spain modeled their constitutions after the U.S.. But poor economic conditions, the high illiteracy,the tradition of autocracy, and the power of the Roman Catholic Church weakened these new republics. Stronger m

States that entered the Union during The Missouri Compromise were?

Maine entered the union as a free state while Missouri entered as a slave state. Since there was going to have been a temporary imbalance of slave states and free states, Missouri and Maine both entered at the same time through the Missouri compromise.

House of Representatives vote in 1824

Andrew Jackson won more votes than anyone else in the electoral college and the popular vote; however, with so many candidates, no man won a majority of the electoral vote (131 votes). This meant that the election went to the House of Representatives. The

1st - 6th Presidents and years in office

=====
(1)
DFT (the ωB97M-V functional and the def2-TZVPD basis) results for the ion C7H8N with charge +1 in a non-equilibrium geometry.

## Properties
Total energy (eV): -8865.54720
Lowest unoccupied orbital energy (alpha / beta) (eV): -5.8 / -5.8
ΔE to the lowest compared entry with this formula, charge and spin (kJ/mol): 282.2

The geometry in ORCA input format:
```
! RIJCOSX wB97M-V def2-TZVPD def2/J DEFGRID3
* xyz 1 1
C 0.667 1.874 2.279
C 0.321 0.946 1.580
C -1.468 -0.676 1.562
C -0.833 -1.146 2.539
C -0.197 -0.092 0.784
C 0.034 -0.316 -0.593
C 0.861 0.589 -1.396
N -0.719 -1.161 -1.323
H 1.062 2.771 2.850
H -2.419 -0.504 1.299
H 1.452 0.068 -2.201
H 1.652 1.039 -0.820
H 0.261 1.369 -1.828
H -0.276 -1.444 3.420
H -0.522 -0.887 -2.262
H -1.146 -1.995 -1.121
*
```


(2)
DFT (the ωB97M-V functional and the def2-TZVPD basis) results for a structure of composition C7H8N2 in a non-equilibrium geometry.

## Properties
Total energy (eV): -10359.37188
Lowest unoccupied orbital energy (eV): 0.7
ΔE to the lowest compared entry with this formula, charge and spin (kJ/mol): 850.1

The geometry in ORCA input format:
```
! RIJCOSX wB97M-V def2-TZVPD def2/J DEFGRID3
* xyz 0 1
C -0.963 2.449 0.854
C -0.504 1.388 0.391
C 0.120 0.350 -0.314
C -0.685 0.379 -1.602
C -0.499 -0.908 -0.640
C -0.663 -1.295 0.832
C 1.753 -0.952 0.637
H -1.383 2.943 1.585
H -0.329 0.318 -2.855
H -1.734 0.857 -1.919
H 0.175 -1.556 -1.265
H -1.000 -0.096 1.366
H -1.579 -2.123 1.004
H 2.699 -1.047 1.039
H 2.274 0.796 0.049
N 0.719 -1.684 1.109
N 1.599 0.179 -0.270
*
```


(3)
DFT (the ωB97M-V functional and the def2-TZVPD basis) results for the molecule C7H8N2 in a non-equilibrium geometry.

## Properties
Total energy (eV): -10365.48514
Lowest unoccupied orbital energy (eV): -0.4
ΔE to the lowest compared entry with this formula, charge and spin (kJ/mol): 260.3
Structure (SMILES): C/C=C/C=C\N=C/C#N

The geometry in ORCA input format:
```
! RIJCOSX wB97M-V def2-TZVPD def2/J DEFGRID3
* xyz 0 1
C -1.447 1.356 1.518
C -1.156 -0.024 -1.128
C 0.303 0.381 -0.866
C -1.978 -0.764 -0.233
C -1.506 0.016 1.875
C 1.300 -0.412 -0.484
C 2.793 -0.107 -0.482
N -1.587 2.425 1.108
N -1.796 -0.958 1.146
H -1.531 0.233 -2.066
H 0.687 1.380 -1.145
H -2.902 -1.305 -0.524
H -1.404 -0.256 2.940
H 1.039 -1.488 -0.186
H 3.062 -0.414 0.585
H 3.037 0.849 -0.866
H 3.085 -0.912 -1.191
*
```


(4)
DFT (the ωB97M-V functional and the def2-TZVPD basis) results for the molecule C7H8N2O in a non-equilibrium geometry.

## Properties
Total energy (eV): -12411.61252
Lowest unoccupied orbital energy (eV): 0.7
ΔE to the lowest compared entry with this formula, charge and spin (kJ/mol): 461.8
Structure (SMILES): Cc1ncccc1C(N)=O

The geometry in ORCA input format:
```
! RIJCOSX wB97M-V def2-TZVPD def2/J DEFGRID3
* xyz 0 1
C 0.268 2.260 0.012
C -0.395 0.983 -0.015
C -2.545 -0.130 -0.119
C -1.863 -1.429 -0.292
C -0.465 -1.456 -0.420
C 0.143 -0.401 -0.243
C 1.729 -0.262 -0.310
H -0.478 3.086 0.332
H 1.004 2.259 0.894
H 0.708 2.278 -0.722
=====
Back to the article

1) George Washington (1789 - 1797)
2) John Adams (1797 - 1801)
3) Thomas Jefferson (1801 - 1809)
4) James Madison (1809 - 1817)
5) James Monroe (1817 - 1825)
6) John Quincy Adams (1825 - 1829)

Three similarities and differences between the elections of 1824 and 1828

1) John Q. Adams and Andrew Jackson tried to be president for both 1824 and 1828.
2) Mudslinging was in both 1824 and 1828 elections.
1) Election of 1828 - two political parties existed once again.
2) Many techniques of mass ca

Famous Duels

1) Burr and Hamilton - Burr killed Hamilton
2) Andrew Jackson and John Dickinson - Jackson killed Dickinson